For the weekend of October 10 and 11, we will be making an extra special Suffragette and Union County Bicentennial crossover recipe: Suffragette Sponge Layer Cakes with Mrs. Orr's Butter Cookies. This will be our final Suffragette recipe before the November 3 presidential election as we will be taking a brief vacation starting October 12. In honor of this, we would like to share some more general information regarding the importance of voting from the Suffragette era and encourage you all to VOTE!
It is important to remember that the women's suffrage movement began as early as the 1840's and women did not officially win the right to vote until the passing of the 19th Amendment in 1920. The 19th Amendment did not magically flip a switch and make women equal. Voting was still difficult for some women and equality was by no means the norm. The Equal Rights Amendment, something we generally associate with the 1970's and the feminist movement, was proposed as far back as the 1920's, shortly after the passing of the 19th Amendment. The goal was to end other discrimination based on sex, but, until this year, it was stalled awaiting state ratification, having been subjected to seemingly arbitrary deadlines and other limitations. The ratification of the ERA by Virginia in 2020 ended up being mostly symbolic due to missed deadlines, but it seemed like somewhat of a victory during the wave of feminism that included the "Me Too" movement. The point is this: The right to vote should not be taken for granted - it was (and is) an arduous task to win this right for all Americans, and who we elect to lead our country really can make a difference... and, yes, every vote counts!

The Woman Suffrage Cook Book, published in 1886 as a fundraiser for the women's suffrage movement, included recipes from women all over the country, as well as household tips, advertisements and some suffrage related information. We would like to share some of the cookbook's "Eminent Opinions on Woman Suffrage," excellent food for thought (pun intended) as our November 3, 2020 election approaches:
"I go for all sharing the privileges of the government who assist in bearing its burdens, by no means excluding women. -- Abraham Lincoln
"I take it America never gave any better principle to the world than the safety of letting every human being have the power of protection in his own hands. I claim it for woman. The moment she has the ballot, I shall think the cause is won." -- Wendell Phillips
"Those who are ruled by the law should have the power to say what shall be the laws, and who the law-makers. Women are as much interested in legislation as men, and are entitled to representation." -- William Lloyd Garrison
"To have a voice in choosing those by whom one is governed, is a means of self-protection due to every one. Under whatever conditions, and within whatever limits, men are admitted to the suffrage, there is not a shadow of justification for not admitting women under the same." -- John Stuart Mill
"Why should not women vote? The essence of all republicanism is that they who feel the pressure of the law shall have a voice in its enactment." -- Rev. John Pierpont

No. 1
Computed, not measured: crystalline Ga2Co21B6 at its relaxed geometry at the PBE-GGA level of DFT.

Structure (POSCAR):
```
Ga2Co21B6
1.0
0.000 5.231 5.231
5.231 0.000 5.231
5.231 5.231 0.000
Ga Co B
2 21 6
Cartesian
2.616 2.616 2.616
7.847 7.847 7.847
0.000 0.000 0.000
1.761 1.761 0.000
3.470 3.470 0.000
1.761 0.000 1.761
5.231 3.470 1.761
3.470 0.000 3.470
5.231 1.761 3.470
6.463 4.000 4.000
0.000 1.761 1.761
3.470 5.231 1.761
3.470 1.761 5.231
4.000 4.000 4.000
6.463 6.463 4.000
6.463 4.000 6.463
4.000 6.463 4.000
4.000 4.000 6.463
6.463 6.463 6.463
0.000 3.470 3.470
1.761 5.231 3.470
1.761 3.470 5.231
4.000 6.463 6.463
5.231 5.231 2.898
5.231 2.898 5.231
7.564 5.231 5.231
2.898 5.231 5.231
5.231 7.564 5.231
5.231 5.231 7.564
```

=====

No. 2
Computed, not measured: crystalline Zn4As2O9 at its relaxed geometry at the PBE-GGA level of DFT.

Structure (POSCAR):
```
Zn4As2O9
1.0
9.893 0.000 0.000
0.000 8.316 0.000
-9.405 0.000 18.283
Zn As O
32 16 72
Cartesian
-0.455 0.716 1.996
-5.158 3.442 11.137
-0.395 4.282 2.788
-5.098 8.192 11.929
-3.066 6.073 10.162
1.637 6.401 1.021
-1.151 0.469 6.971
-5.854 3.689 16.112
-5.823 0.471 16.099
-1.120 3.688 6.957
-3.652 5.679 12.975
1.051 6.795 3.834
-1.747 0.313 11.560
2.956 3.845 2.419
3.019 0.598 2.410
-1.684 3.560 11.551
2.171 4.756 6.732
-2.532 7.718 15.873
-2.469 4.471 15.864
2.234 8.003 6.723
-0.564 1.521 14.449
4.139 2.637 5.307
1.607 4.629 11.325
6.310 7.846 2.184
6.341 4.627 2.171
1.639 7.847 11.312
-1.150 1.915 17.262
3.553 2.243 8.121
5.585 0.124 6.353
0.882 4.034 15.495
5.646 4.875 7.145
0.943 7.600 16.287
-2.199 6.186 4.878
-6.901 6.288 14.019
-7.966 2.063 18.082
-3.263 2.095 8.941
1.177 2.047 4.605
-3.526 2.111 13.746
-4.656 6.160 17.816
0.047 6.314 8.674
0.440 2.002 9.608
5.143 2.156 0.467
4.013 6.205 4.536
-0.689 6.269 13.677
3.751 6.221 9.341
8.453 6.253 0.200
7.389 2.028 4.263
2.686 2.130 13.405
-4.504 6.116 8.770
-9.206 6.358 17.911
-2.532 4.905 5.993
-7.235 7.569 15.134
-7.001 4.797 14.866
-2.298 7.678 5.725
-3.099 0.732 7.895
-7.801 3.426 17.036
-7.611 0.577 17.285
-2.908 3.581 8.144
-6.152 2.071 14.779
-1.450 2.087 5.638
-0.614 5.824 4.270
-5.317 6.650 13.411
-4.555 1.798 12.397
0.147 2.360 3.256
-3.455 4.511 11.392
1.248 7.963 2.251
1.436 5.076 2.483
-3.267 7.399 11.624
-6.321 6.043 18.086
-1.618 6.432 8.945
-2.298 1.924 10.345
2.405 2.234 1.204
0.971 0.441 5.190
-3.732 3.718 14.332
-0.476 2.058 8.151
-5.178 2.100 17.292
-3.588 0.884 14.918
1.115 3.274 5.777
0.354 4.904 7.691
-4.349 7.570 16.832
-4.294 4.773 16.813
0.408 7.701 7.672
-1.894 2.029 13.018
2.809 2.129 3.877
-2.321 6.187 14.406
2.382 6.287 5.264
0.079 0.615 10.610
4.782 3.543 1.469
4.837 0.746 1.451
0.134 3.412 10.592
-0.627 5.042 12.506
4.075 7.432 3.365
5.666 6.216 0.991
0.963 6.258 10.132
4.219 4.599 3.951
-0.483 7.876 13.092
-1.917 6.082 17.079
2.785 6.392 7.937
2.106 1.885 9.338
6.808 2.274 0.196
3.754 0.918 6.658
-0.948 3.241 15.800
-0.760 0.353 16.032
3.942 3.805 6.890
0.340 5.956 15.027
5.043 6.518 5.886

Sponge cakes are unique - the only leavening and binding agents used are egg whites and yolks! In fact, a traditional sponge uses only three ingredients: flour, sugar and eggs. All quantities are determined by their percentage of the weight in the recipe, all focusing around the quantity of eggs, making these recipes easy to scale up or down. 4" round layer cakes took 20-25 minutes in a 350-degree oven.
I found that scaling this recipe based on egg weights was very helpful for farm fresh eggs, since our girls lay all different sizes. Speaking of chickens, here is my chicken scratch showing the weight calculations for a sponge using 6 eggs:

And the bright yellow of the sponge cake thanks to deep, orangey free range yolks:

As we near the end of 2020, Union County's bicentennial year, we wanted to incorporate some local history into our cakes. We topped each cake with Mrs. Orr's Butter Cookies, a favorite Union County recipe we have made several times this year already. Noah Orr is a fascinating figure in Union County history; more info can be found here.

The Union County Bicentennial celebration and Union County Bicentennial passport program will be extended into 2021 due to the kickoff cancellation this past April. That means we will be making our historical recipes next year as well! If you have an old family recipe you would like to share, please contact Katy at or find us on social media!